To do
Your job: copy only the lines further down with the word "following" in them.
File
********
[1]
The following is a DFT calculation (wB97M-V/def2-TZVPD) of an isolated molecule of CH3ClOSi.

Cartesian coordinates (Å):
O (-0.41469, 1.95984, -0.18848)
C (0.38435, 1.08120, 0.00050)
Si (-0.05061, -0.79716, -0.04359)
Cl (-2.25596, -0.76918, 0.11224)
H (1.43890, 1.35251, 0.22942)
H (0.43193, -1.39992, -1.27327)
H (0.46608, -1.42729, 1.16318)

## Properties
Total energy = -864.8256 Ha
2S+1 = 1
SMILES string = O=C[SiH2]Cl
Gap between HOMO and LUMO = 0.36381 Ha

---

[2]
The following is a DFT calculation (wB97M-V/def2-TZVPD) of an isolated molecule of C21H25N3O2.

Cartesian coordinates (Å):
C (3.47086, -1.33205, -0.87830)
C (2.27147, -1.82863, -0.14201)
C (1.68284, -3.14035, -0.56502)
C (1.14755, -3.02816, -2.00678)
C (0.42515, -1.72669, -2.23479)
C (0.84400, -0.85231, -3.22855)
C (0.21783, 0.36700, -3.41128)
C (-0.83893, 0.73054, -2.59655)
C (-1.27321, -0.13891, -1.61063)
C (-0.64808, -1.35920, -1.43399)
N (1.66254, -1.24495, 0.80721)
N (1.99404, 0.03906, 1.19335)
C (1.99160, 1.11444, 0.36543)
O (1.91070, 1.03920, -0.84745)
C (2.03003, 2.43995, 1.09452)
C (0.62053, 2.92694, 1.46230)
O (0.41102, 3.54072, 2.48722)
N (-0.32362, 2.63174, 0.55235)
C (-1.70375, 3.04281, 0.71210)
C (-2.37859, 2.41047, 1.94261)
C (-2.38203, 0.91185, 1.86970)
C (-1.31081, 0.18271, 2.37006)
C (-1.28505, -1.19660, 2.27466)
C (-2.34356, -1.86696, 1.68515)
C (-3.42206, -1.15294, 1.19153)
C (-3.43699, 0.22841, 1.27796)
H (4.00406, -2.15344, -1.34938)
H (3.16136, -0.61475, -1.63940)
H (4.13668, -0.80679, -0.19305)
H (2.43727, -3.92837, -0.51858)
H (0.87271, -3.38741, 0.12023)
H (1.97702, -3.10340, -2.71216)
H (0.47261, -3.86757, -2.19255)
H (1.67570, -1.12408, -3.86429)
H (0.56423, 1.03950, -4.18198)
H (-1.32253, 1.68818, -2.73231)
H (-2.09962, 0.12962, -0.96888)
H (-0.99262, -2.02096, -0.65422)
H (1.78839, 0.19550, 2.17202)
H (2.46482, 3.18578, 0.42575)
H (2.62337, 2.39536, 2.00797)
H (-0.08006, 2.08081, -0.25769)
H (-2.23928, 2.76545, -0.19665)
H (-1.73335, 4.13164, 0.82889)
H (-1.83648, 2.74162, 2.82869)
H (-3.40049, 2.78997, 1.99503)
H (-0.50156, 0.70985, 2.85496)
H (-0.44014, -1.74993, 2.65568)
H (-2.33304, -2.94541, 1.61787)
H (-4.25216, -1.67211, 0.73424)
H (-4.28035, 0.78285, 0.88899)

## Properties
Total energy = -1129.9983 Ha
2S+1 = 1
SMILES string = C/C(CCc1ccccc1)=N\NC(=O)CC(=O)NCCc1ccccc1
Gap between HOMO and LUMO = 0.35426 Ha

---

[3]
The following is a DFT calculation (wB97M-V/def2-TZVPD) of C24H52O6P2 as an isolated structure.

Cartesian coordinates (Å):
C (3.94479, 0.02529, 2.00520)
C (2.60724, 0.46637, 1.40184)
C (1.41115, -0.00904, 2.23302)
C (0.09720, -0.19692, 1.46131)
C (-0.21775, 0.85968, 0.37932)
C (-0.53788, 0.26060, -0.99854)
C (-0.33287, 1.24118, -2.17479)
C (0.43772, 0.71639, -3.41119)
C (1.69851, 1.54193, -3.72723)
C (2.87155, 1.24868, -2.76985)
C (3.64115, -0.04336, -3.13599)
C (3.35613, -1.26065, -2.22697)
C (3.18341, -2.52865, -3.05403)
O (2.48130, -3.58228, -2.38127)
P (2.94197, -4.10938, -0.95681)
O (2.51488, -3.33139, 0.22216)
O (4.53929, -4.25977, -1.07054)
O (2.43996, -5.61398, -1.01829)
P (1.39574, -6.22040, 0.18790)
C (2.63639, -6.51331, 1.49693)
C (1.32540, -7.92594, -0.50525)
C (-0.13398, -8.40761, -0.54494)
H (4.76017, 0.68694, 1.69929)
H (3.89069, 0.09233, 3.09716)
H (4.20060, -1.00122, 1.72551)
H (2.60613, 1.56283, 1.36949)
H (2.50528, 0.12563, 0.36759)
H (1.67566, -0.98303, 2.66425)
H (1.25787, 0.66731, 3.07978)
H (-0.71286, -0.17359, 2.19948)
H (0.07537, -1.19973, 1.02572)
H (-1.11996, 1.38604, 0.70691)
H (0.55705, 1.62607, 0.31519)
H (0.02362, -0.66849, -1.16221)
H (-1.59369, -0.03052, -0.97944)
H (0.15443, 2.14364, -1.79482)
H (-1.32055, 1.54506, -2.53159)
H (0.71030, -0.33530, -3.26879)
H (-0.22764, 0.76920, -4.27919)
H (1.43223, 2.60256, -3.71302)
H (2.03521, 1.31803, -4.74464)
H (3.57368, 2.08640, -2.80431)
H (2.50562, 1.18567, -1.74107)
H (4.71156, 0.17415, -3.09330)
H (3.42869, -0.30501, -4.17926)
H (4.18211, -1.38258, -1.52140)
H (2.43454, -1.11260, -1.65885)
H (4.14464, -2.90986, -3.42219)
********
Solution
The following is a DFT calculation (wB97M-V/def2-TZVPD) of an isolated molecule of CH3ClOSi.
The following is a DFT calculation (wB97M-V/def2-TZVPD) of an isolated molecule of C21H25N3O2.
The following is a DFT calculation (wB97M-V/def2-TZVPD) of C24H52O6P2 as an isolated structure.